Friday, 7 October 2011

Why is the US position on global warming so different from the rest of the world?

%26quot;First Australia won international applause for abandoning the United States and signing a global warming pact Washington has long opposed. Then a U.S. Senate committee voted for deep cuts in greenhouse gas emissions.

## The article is interrupted by materials data
/*
No. 1
Simulated powder diffractogram of Tm7AlS5 for Cu Kα X-rays, from a structure optimized by DFT (GGA-PBE).
Intensities are scaled so that the largest is 100.

Peak list (8 most intense, 2θ = 10–80°, in order of falling intensity)
2θ/deg  I_rel
30.59  100
32.37  92
28.86  69
33.55  50
47.03  44
57.53  34
55.93  33
47.47  32

Atomic structure:
```
Tm7AlS5
1.0
6.397 -1.915 0.000
6.397 1.915 0.000
-12.789 0.000 23.001
Tm Al S
14 2 10
direct
0.006 0.006 0.325 Tm
0.144 0.144 0.825 Tm
0.172 0.172 0.035 Tm
0.208 0.208 0.614 Tm
0.232 0.232 0.250 Tm
0.398 0.398 0.535 Tm
0.481 0.481 0.886 Tm
0.519 0.519 0.114 Tm
0.602 0.602 0.465 Tm
0.768 0.768 0.750 Tm
0.792 0.792 0.386 Tm
0.828 0.828 0.965 Tm
0.856 0.856 0.175 Tm
0.994 0.994 0.675 Tm
0.444 0.444 0.750 Al
0.556 0.556 0.250 Al
0.000 0.000 0.500 S
0.155 0.155 0.929 S
0.186 0.186 0.139 S
0.203 0.203 0.429 S
0.408 0.408 0.361 S
0.500 0.500 0.000 S
0.592 0.592 0.639 S
0.797 0.797 0.571 S
0.814 0.814 0.861 S
0.845 0.845 0.071 S
```



No. 2
Simulated powder diffractogram of AlV2S4 for Cu Kα X-rays, from a structure optimized by DFT (GGA-PBE).
Intensities are scaled so that the largest is 100.

Peak list (8 most intense, 2θ = 10–80°, in order of falling intensity)
2θ/deg  I_rel
51.24  100
35.60  99
29.37  74
15.21  43
46.80  35
63.95  19
75.39  15
71.90  13

Atomic structure:
```
AlV2S4
1.0
-3.567 3.567 5.040
3.567 -3.567 5.040
3.567 3.567 -5.040
Al V S
2 4 8
direct
0.375 0.625 0.750 Al
0.625 0.375 0.250 Al
0.000 0.000 0.000 V
0.000 0.000 0.500 V
0.000 0.500 0.000 V
0.500 0.000 0.500 V
0.231 0.244 0.988 S
0.244 0.231 0.488 S
0.244 0.756 0.012 S
0.244 0.756 0.488 S
0.756 0.244 0.512 S
0.756 0.244 0.988 S
0.756 0.769 0.512 S
0.769 0.756 0.012 S
```
*/
## The materials data stop here

The Bush administration's position, that technology, private investment and economic growth 鈥?rather than mandatory emissions cuts 鈥?will save the planet from global warming, is taking a beating this week at a U.N. climate change conference in Indonesia.

The public defeats for the U.S. stance, coupled with mounting warnings from scientists and others that only decisive action will control rising temperatures, have cast the Americans as wayward sons who need to wake up and join the rest of the world.%26quot;鈥?/a>

Why do you think the US policy on global warming continues to differ so vastly from the rest of the world? Especially since global warming is supposedly a US liberal hoax?
Why is the US position on global warming so different from the rest of the world?
Growth is the problem. You can't use the CAUSE of the problem as the solution. It's insane, hence why the Bush adminstration's policy is so different from the rest of the world. The rest of the world is sane.

It would require the resources of 4.5 earths for all nations on earth to live with the standard of living currently enjoyed by the U.S. We have been using more than our fair share of global resources, and paying for it on a credit card to boot, having not earned the cash to pay for it. If the developing nations are to be allowed to catch up, then our standard of living must fall.
Why is the US position on global warming so different from the rest of the world?
Because it is the BIGGEST contributor to it
Because we drive on the wrong side of the street and do not use the metric system.


The current GOP led government is opposed to change. Their corporate donors are in this for the fast buck, not the USA. When we have a change of leadership, followed by a change in policy, hopefully the US can play catch-up to the rest of the free world in that regard.


Australia's government is phasing out the incandescent bulb. They are switching the nation to the CFL (compact fluorescent light) energy efficient light bulbs such as linked here.鈥?/a>
And then Australia decided to forget about the whole thing because it would cost too much money. Try to keep up. LOL if only you had read the news today.
Because Kfed has the kids, they have to have something to talk about. Oh ya there is a lot of money to be made by backing the hoax.
Because chances are, these other countries don't have to cut back on anything.

See, if you're going to try and catch the big country, you scream for them to be hamstrung with output restrictions while you pollute your way past them.

Of course the little countries agree with global warming and carbon restrictions! As long as we have to cut back and they don't! I mean it's only fair; we put out so much, and they don't. Yet.
Unless you find a way to control the Sun you can't control the warming trend. Besides in a few years the temp will start cooling again like it has in the past.

<<<
For SmYF6, a crystal structure in Alexandria, relaxed with PBE gives the simulated powder diffraction line list in this record (Cu Kα X-rays).
Lines closer than 0.1° are merged.

Most intense lines, 10 to 80 degrees two-theta, sorted by position:
index	Position (°2θ)	I (rel.)
1 1 0	21.4	74
1 1 -1	24.6	100
1 1 1	27.6	83
0 2 1	28.3	55
0 0 2	29.9	24
1 1 2	39.2	30
1 3 0	40.7	39
2 0 -2	43.6	30
2 2 -1	44.4	41
2 2 1	48.1	26
1 1 -3	48.2	28
0 2 3	52.1	25

Crystal structure
```
data_SmYF6
_chemical_formula_sum 'Sm2 Y2 F12'
_symmetry_space_group_name_H-M 'C 1 2 1'
_symmetry_Int_Tables_number 5
_cell_length_a 5.0682
_cell_length_b 7.4079
_cell_length_c 6.0463
_cell_angle_alpha 90.00
_cell_angle_beta 98.27
_cell_angle_gamma 90.00
loop_
_symmetry_equiv_pos_as_xyz
'x,y,z'
'-x,y,-z'
'x+1/2,y+1/2,z'
'-x+1/2,y+1/2,-z'
loop_
_atom_site_label
_atom_site_type_symbol
_atom_site_fract_x
_atom_site_fract_y
_atom_site_fract_z
Sm1 Sm 0.0000 0.0000 0.0000
Y1 Y 0.0000 0.3208 0.5000
F1 F 0.2258 0.0644 0.3634
F2 F 0.2313 0.4006 0.2373
F3 F 0.2441 0.2475 0.8397
```

For SmZrF7, a crystal structure in Alexandria, relaxed with PBE gives the simulated powder diffraction line list in this record (Cu Kα X-rays).
Lines closer than 0.1° are merged.

Most intense lines, 10 to 80 degrees two-theta, sorted by position:
index	Position (°2θ)	I (rel.)
1 1 0	21.0	100
0 0 2	21.6	36
1 1 -1	22.1	13
1 1 1	25.1	24
0 1 2	26.4	14
1 1 -2	27.8	29
0 2 0	30.2	12
2 0 -2	32.6	11
2 2 -1	42.4	17
2 2 -2	45.0	14
2 2 1	45.9	19
3 1 -1	46.4	14

Crystal structure
```
data_SmZrF7
_chemical_formula_sum 'Sm2 Zr2 F14'
_symmetry_space_group_name_H-M 'P 1 21 1'
_symmetry_Int_Tables_number 4
_cell_length_a 6.2155
_cell_length_b 5.9186
_cell_length_c 8.4445
_cell_angle_alpha 90.00
_cell_angle_beta 102.89
_cell_angle_gamma 90.00
loop_
_symmetry_equiv_pos_as_xyz
'x,y,z'
'-x,y+1/2,-z'
loop_
_atom_site_label
_atom_site_type_symbol
_atom_site_fract_x
_atom_site_fract_y
_atom_site_fract_z
Sm1 Sm 0.1541 0.0000 0.1886
Zr1 Zr 0.3146 0.0066 0.7253
F1 F 0.0371 0.7099 0.0161
F2 F 0.0736 0.7676 0.7083
F3 F 0.0972 0.2705 0.7081
F4 F 0.2676 0.0017 0.4787
F5 F 0.3586 0.0106 0.9713
F6 F 0.4377 0.2711 0.2544
F7 F 0.4431 0.7441 0.2638
```

For Sn2F3, a crystal structure in Alexandria, relaxed with PBE gives the simulated powder diffraction line list in this record (Cu Kα X-rays).
Lines closer than 0.1° are merged.

Most intense lines, 10 to 80 degrees two-theta, sorted by position:
index	Position (°2θ)	I (rel.)
0 0 1	20.2	78
0 2 0	20.9	100
2 0 0	28.9	62
0 2 1	29.2	45
2 0 1	35.5	39
2 2 0	35.9	51
0 0 2	41.0	24
2 2 1	41.5	37
0 2 2	46.4	25
2 0 2	50.9	25
2 2 2	55.6	29
2 4 1	56.5	24

Crystal structure
```
data_Sn2F3
_chemical_formula_sum 'Sn4 F6'
_symmetry_space_group_name_H-M 'C m m m'
_symmetry_Int_Tables_number 65
_symmetry_space_group_name_Hall '-C 2 2'
_cell_length_a 6.1797
_cell_length_b 8.5094
_cell_length_c 4.4034
_cell_angle_alpha 90.00
_cell_angle_beta 90.00
_cell_angle_gamma 90.00
loop_
_atom_site_label
_atom_site_type_symbol
>>>
== Here the text continues ==

The whole man-made thing is a hoax. Most of us recognize it as such.
There are a couple of reasons.

First - the US feels that we are being asked to shoulder a disproportionate share of the costs.

Second - the rest of the world is trying to dictate to us instead of working with us.

Finally - most of those countries have put themselves in positions where we are not real excited about doing them any favors. (Look at all of the anti-American rhetoric and ask yourself why we should do anything at all for them.)
Bush and Cheney are oil men who profit from keeping things the way they are. They don't want to do anything that might reduce dependency on oil because they want to continue to get richer and richer.


The truth hurts, doesn't it? You people who keep denying the obvious are the other half of the problem.
To answer your question;

The US position is different because America has the purse, and the rest of the world has its hands out.
because we have illiterate southerners
Because the science is still out on us actually causing the warming when it is really only a meteorological trend.
The US has more to lose by complying w/ emissions standards.

Countries that do not have the natural resources of the US are going to renewable energy sources for economic reasons to get away from expensive foreign fuel sources.

Basically , the big energy interests that control the govt will do anything they can to keep their profits up as long as they can.

%26quot;Green%26quot; fuel %26amp; energy suppliers are starting to make the big boys think about getting into alternative energy sources , but not before they can find a way to reach the profits they can w/ dirty fuels.

Liberal hoax? just big business talking through their political

Because most of the developing world is excused from reducing their emissions. All this BS, especially the Kyoto accords, only applies to the top dogs. The rest hope by putting the brakes on the US industries and economy, they can catch up a little bit more. And if you don't believe that by mandating higher energy efficiency and lower emissions will not have an effect on the economy you fail Economics 101. It will cost not only US industries billions of dollars to comply but it will cost the consumer of anything more. You will have to have more energy efficient cars, buildings (homes, apartments, office buildings), more efficient refrigerators, dishwashers, water heaters, clothe dryers, air conditioners and home heating systems. All will cost more to produce. All will cost more to buy. All will cost more to repair. You need to realize the ulterior motives of other countries demanding this of the US. If you think we are a big polluter, go to New Delhi, Beijing, Hong Kong. You howl about the economy now, wait until the New World Order is calling the shots and mandating to us. These countries don't give a rat about global warming. All they see is their countries growing stronger economically and the US growing weaker. We are not the only big country that has refused to sign the Kyoto agreement. And all for pretty much the same reason. It gives a pass to %26quot;developing%26quot; nations (India) and puts the hammer to the US and others.
Which reast of the world are you talking about ?

You mentioned one country, now i know australia is a nice country, but they are not the rest of the world.

The us stance on global warming is alot more libberal than :

Inserted here: data records.
********
Record 1
Starting from a cell relaxed with PBE, the powder diffractogram of Li6BPt10 was simulated for Cu Kα (weighted mean of Kα1 and Kα2).

Structural model:
a = 7.087 Å, b = 7.087 Å, c = 5.222 Å
α = 90.00°, β = 90.00°, γ = 120.00°
Fractional coordinates of all 17 atoms:
1 Li 0.000 0.401 0.261
2 Li 0.000 0.599 0.739
3 Li 0.401 0.000 0.261
4 Li 0.401 0.401 0.739
5 Li 0.599 0.000 0.739
6 Li 0.599 0.599 0.261
7 B 0.000 0.000 0.500
8 Pt 0.000 0.238 0.764
9 Pt 0.000 0.762 0.236
10 Pt 0.238 0.000 0.764
11 Pt 0.238 0.238 0.236
12 Pt 0.333 0.667 0.000
13 Pt 0.333 0.667 0.500
14 Pt 0.667 0.333 0.000
15 Pt 0.667 0.333 0.500
16 Pt 0.762 0.000 0.236
17 Pt 0.762 0.762 0.764

Main lines, low angle first (2θ from 10° to 80°):
two_theta  I/Imax
25.1  29
29.1  54
30.5  84
37.4  68
38.8  63
42.6  100
43.0  88
44.3  33
63.5  31
67.2  25
70.3  29
71.3  35

Record 2
Starting from a cell relaxed with PBE, the powder diffractogram of Zn4IrPt was simulated for Cu Kα (weighted mean of Kα1 and Kα2).

Structural model:
a = 2.878 Å, b = 4.499 Å, c = 7.147 Å
α = 90.00°, β = 90.00°, γ = 90.00°
Fractional coordinates of all 6 atoms:
1 Zn 0.000 0.000 0.185
2 Zn 0.000 0.000 0.815
3 Zn 0.500 0.500 0.307
4 Zn 0.500 0.500 0.693
5 Ir 0.000 0.500 0.000
6 Pt 0.500 0.000 0.500

Main lines, low angle first (2θ from 10° to 80°):
two_theta  I/Imax
23.4  61
24.9  10
33.6  79
40.1  45
43.0  69
45.2  100
53.3  43
64.8  25
74.1  14
74.8  13
76.4  21
79.0  12

Record 3
Starting from a cell relaxed with PBE, the powder diffractogram of Ac2Tb6Sm was simulated for Cu Kα (weighted mean of Kα1 and Kα2).

Structural model:
a = 9.151 Å, b = 9.151 Å, c = 6.731 Å
α = 109.73°, β = 109.73°, γ = 36.94°
Fractional coordinates of all 9 atoms:
1 Ac 0.116 0.116 0.076
2 Ac 0.884 0.884 0.924
3 Tb 0.248 0.248 0.642
4 Tb 0.332 0.332 0.220
5 Tb 0.468 0.468 0.730
6 Tb 0.532 0.532 0.270
7 Tb 0.668 0.668 0.780
8 Tb 0.752 0.752 0.358
9 Sm 0.000 0.000 0.500

Main lines, low angle first (2θ from 10° to 80°):
two_theta  I/Imax
29.6  14
30.2  46
30.3  97
30.8  57
31.1  100
31.6  15
43.7  34
44.3  14
53.2  10
54.6  32
55.0  36
64.8  9

Record 4
Starting from a cell relaxed with PBE, the powder diffractogram of Pm4Dy8Mg was simulated for Cu Kα (weighted mean of Kα1 and Kα2).

Structural model:
a = 10.211 Å, b = 10.211 Å, c = 10.211 Å
α = 41.75°, β = 41.75°, γ = 41.75°
Fractional coordinates of all 13 atoms:
1 Pm 0.000 0.000 0.000
2 Pm 0.000 0.500 0.500
3 Pm 0.500 0.000 0.500
4 Pm 0.500 0.500 0.000
5 Dy 0.208 0.746 0.746
6 Dy 0.213 0.213 0.213
7 Dy 0.254 0.254 0.792
8 Dy 0.254 0.792 0.254
9 Dy 0.746 0.208 0.746
10 Dy 0.746 0.746 0.208
11 Dy 0.787 0.787 0.787
12 Dy 0.792 0.254 0.254
13 Mg 0.500 0.500 0.500

Main lines, low angle first (2θ from 10° to 80°):
two_theta  I/Imax
28.5  24
28.8  38
29.1  14
31.1  100
32.6  54
38.5  26
50.1  31
51.5  20
58.8  28
60.2  14
61.1  9
63.9  7

~~~~~

Entry 1:
CaP2PdS8: computed X-ray diffraction stick pattern (a wavelength of 1.5418 Å), based on a structure optimized by DFT (PBE).
********
So much for the data records.

South america's



Middle east's


Now wouldn't you consider those countries to make up, the whole world ????

Plus, the best thing the US could do to help prevent global warming, is to build nuclear power plants to replace the fossil fuel power plants, that are the largest contributor of green house gas's.

Except the global warming crowd, are against nuclear power also.

Funny how the global warming crowd, agree with everything the UN climate panel said, except the part, where they said, building more nuclear power plants to replace fossil fuel power plants was the best option to help prevent global warming.


And if Liberals care so much about Global warming and the Koyoto treaty, then why didn't thier liberal president, ever submit the Koyoto Treaty to the US Senate to be ratified during his last three years in office ?
Because the president of the USA thinks that the large oil corps. interests are more important than the american public.